Sleeping Giant
'''
Material: Sc2Co3B5
Method: DFT, GGA-PBE
State: relaxed

Cell lengths 8.1406, 10.2300, 4.6726 Å; angles 90.00, 90.00, 90.00 degrees
Closest atoms and distances in Å follow each position.
Space group Ibam (No. 72)
Unique sites:
1 Sc 0.2360 0.1244 0.0000  8 B 2.52-2.72, 6 Co 2.62-2.76
2 Co 0.0000 0.5000 0.2500  6 B 2.07-2.10
3 Co 0.0932 0.1435 0.5000  5 B 2.02-2.13
4 B 0.0000 0.0000 0.2500  4 Co 2.02
5 B 0.0000 0.2952 0.2500  2 B 1.88, 3 Co 2.09-2.10
6 B 0.1467 0.3802 0.0000  2 B 1.88, 2 Co 2.07

Calculated values
The total moment is 0.00 μB/cell. The calculated total energy is -288.604 eV for the cell shown.



Material: Sc2CoB6
Method: DFT, GGA-PBE
State: relaxed

Cell lengths 8.8164, 11.0937, 3.3260 Å; angles 90.00, 90.00, 90.00 degrees
Closest atoms and distances in Å follow each position.
Space group Pbam (No. 55)
Unique sites:
1 Sc 0.0565 0.1286 0.0000  12 B 2.43-2.45
2 Sc 0.1791 0.4146 0.0000  14 B 2.56-2.65
3 Co 0.1410 0.6808 0.0000  10 B 2.20-2.25
4 B 0.0178 0.2883 0.5000  3 B 1.74-1.76
5 B 0.0537 0.5653 0.5000  3 B 1.73-1.74
6 B 0.1034 0.9722 0.5000  3 B 1.74-1.92
7 B 0.1319 0.8171 0.5000  3 B 1.69-1.76
8 B 0.2055 0.2371 0.5000  3 B 1.69-1.78
9 B 0.2500 0.0803 0.5000  3 B 1.74-1.78

Calculated values
The total moment is 0.22 μB/cell. The calculated total energy is -265.293 eV for the cell shown.



Material: Sc3CoB7
Method: DFT, GGA-PBE
State: relaxed

Cell lengths 3.2218, 14.8207, 8.9446 Å; angles 90.00, 90.00, 90.00 degrees
Closest atoms and distances in Å follow each position.
Space group Cmcm (No. 63)
Unique sites:
1 Sc 0.0000 0.1065 0.0570  11 B 2.46-2.55
2 Sc 0.0000 0.2469 0.7500  10 B 2.51-2.55
3 Co 0.0000 0.0509 0.7500  10 B 2.18-2.22
4 B 0.0000 0.2720 0.0325  3 B 1.78-1.83
5 B 0.0000 0.3682 0.1518  3 B 1.76-1.78
6 B 0.0000 0.4482 0.7500  2 B 1.72
7 B 0.0000 0.4821 0.0956  3 B 1.72-1.79

Calculated values
The total moment is 0.00 μB/cell. The calculated total energy is -324.082 eV for the cell shown.



Material: Sc4CoB3
Method: DFT, GGA-PBE
State: relaxed

Cell lengths 3.2231, 3.2231, 26.9255 Å; angles 90.00, 90.00, 120.00 degrees
Closest atoms and distances in Å follow each position.
Space group P6_3/mmc (No. 194)
Unique sites:
1 Sc 0.0000 0.0000 0.1794  3 B 2.42, 3 Co 2.66
2 Sc 0.3333 0.6667 0.0602  6 B 2.47-2.49
3 Co 0.3333 0.6667 0.2500  6 Sc 2.66
4 B 0.0000 0.0000 0.0000  6 Sc 2.47
5 B 0.3333 0.6667 0.6219  6 Sc 2.42-2.49

Calculated values
The total moment is 0.69 μB/cell. The calculated total energy is -102.923 eV for the cell shown.



Material: ScCoB
Method: DFT, GGA-PBE
State: relaxed

Cell lengths 5.6344, 5.6344, 5.6344 Å; angles 90.00, 90.00, 90.00 degrees
Closest atoms and distances in Å follow each position.
Space group F-43m (No. 216)
Unique sites:
1 Sc 0.0000 0.0000 0.0000  4 Co 2.44, 4 B 2.44
2 Co 0.2500 0.2500 0.2500  4 Sc 2.44
3 B 0.2500 0.2500 0.7500  4 Sc 2.44

Calculated values
'''
Here the piece continues:
Sleeping Giant
-- begin --
# ZnCr2Cl PBE-GGA relaxed
data_ZnCr2Cl
_space_group_name_H-M_alt 'P 4 m m'
_space_group_IT_number 99
_cell_length_a 3.0910
_cell_length_b 3.0910
_cell_length_c 7.4726
_cell_angle_alpha 90.00
_cell_angle_beta 90.00
_cell_angle_gamma 90.00
loop_
_space_group_symop_operation_xyz
'x,y,z'
'-y,x,z'
'-x,-y,z'
'y,-x,z'
'-x,y,z'
'y,x,z'
'x,-y,z'
'-y,-x,z'
loop_
_atom_site_label
_atom_site_fract_x
_atom_site_fract_y
_atom_site_fract_z
Zn1 0.0000 0.0000 0.0000
Cr1 0.0000 0.0000 0.6291
Cr2 0.5000 0.5000 0.7968
Cl1 0.5000 0.5000 0.4270
# Energy relative to the lowest polymorph listed for this composition (meV per atom): 10.5
# Formation energy (no corrections) (eV per formula unit): 0.5


# Ba2CdAg3Sb4 PBE-GGA relaxed
data_Ba2CdAg3Sb4
_space_group_name_H-M_alt 'P -4 m 2'
_space_group_IT_number 115
_cell_length_a 4.9098
_cell_length_b 4.9098
_cell_length_c 11.8599
_cell_angle_alpha 90.00
_cell_angle_beta 90.00
_cell_angle_gamma 90.00
loop_
_space_group_symop_operation_xyz
'x,y,z'
'y,-x,-z'
'-x,-y,z'
'-y,x,-z'
'-x,y,z'
'-y,-x,-z'
'x,-y,z'
'y,x,-z'
loop_
_atom_site_label
_atom_site_fract_x
_atom_site_fract_y
_atom_site_fract_z
Ba1 0.0000 0.5000 0.2454
Cd1 0.0000 0.0000 0.5000
Ag1 0.0000 0.5000 0.8713
Ag2 0.5000 0.5000 0.5000
Sb1 0.0000 0.0000 0.0000
Sb2 0.0000 0.5000 0.6384
Sb3 0.5000 0.5000 0.0000
# Formation energy (no corrections) (eV per formula unit): -5.1


# PuCuI5 PBE-GGA relaxed
data_PuCuI5
_space_group_name_H-M_alt 'C 1 2/c 1'
_space_group_IT_number 15
_cell_length_a 11.6354
_cell_length_b 10.9030
_cell_length_c 11.3591
_cell_angle_alpha 90.00
_cell_angle_beta 118.55
_cell_angle_gamma 90.00
loop_
_space_group_symop_operation_xyz
'x,y,z'
'-x,-y,-z'
'-x,y,-z+1/2'
'x,-y,z+1/2'
-- stop --
| 14 May 2015 (USA)
Sleeping Giant Trailers

A coming-of-age tale that turns on three teenagers who are having a vacation by a lakeside.

Listonixio Fresh and Exciting
Chirphymium It's entirely possible that sending the audience out feeling lousy was intentional
Senteur As somebody who had not heard any of this before, it became a curious phenomenon to sit and watch a film and slowly have the realities begin to click into place.
Cheryl A clunky actioner with a handful of cool moments.
iNickR I heard about this Canadian gem a few years ago when it appeared on the festival circuit. Getting funding to make a film is a difficult task for many independent producers regardless of geography. Artists searching for funding in Canada face a monumental challenge. And if you're not in Toronto or Vancouver, it's damn near impossible! Regardless of how good your script is, unless you have a history or a name attached to your project, forget it. There isn't enough support for indie producers in Canada, which is why many beg, borrow and even steal to get their film made.I have a soft spot in my heart for Canadian films for this very reason. I'm adding this preface to my review because for a Canadian indie film, without a known director or actor attached, to make it to Cannes and TIFF (that, I think many would agree, are prestigious film festivals) is virtually unheard of. Clearly, then, there's something genuinely good about this movie. I enjoyed the interaction between the three main protagonists, although much of it seems ad-lib and not scripted, it fits nicely. It's genuine. It works. It seems less like a movie and more like I'm standing nearby watching this story unfold in person. Whether it was on purpose or not, it's brilliant. I felt for, and understood, the characters: the quiet introvert Adam who is clearly more comfortable in his skin around his lifelong friend, Taylor (a girl, but not his girlfriend); the bad boy Nate (a character I despise), whose jealousy of Adam becomes quite evident in one of the best scenes in the movie; and the unsettled Riley, who is trying to be a good kid but seems to fall victim to the antics of his cousin, Nate.The three boys spend the summer in "small town Ontario" doing what kids in small towns do during the summer: cause havoc and occasionally break the law (glad to see things haven't changed much since I was a kid). Much of the story follows Adam (Jackson Martin) and his budding friendship with Riley (Reece Moffett), a bond that Nate (Nick Serino) quickly grows jealous of. Nate and Riley are family, but is blood really thicker than water when it comes to the Sleeping Giant? The answer becomes regrettably clear.
Ken Having read the other reviews here, there is only one which I completely agree with. The signs are there if you look for them, but most people seem to have missed the fact that the Sleeping Giant is not only a teenager's anger, but perhaps moreso his sexuality beginning to burgeon with disastrous results. SPOILERS Where several other reviewers talk about a triangle of two teens wanting the same girl, in fact it is much more about one teen wanting his buddy but afraid to admit to it - and finding a way to discourage the girl from continuing her flirtation with the object of his affection (his buddy). There is one scene where his buddy says (I'm paraphrasing) "If you like someone you should tell them." and there is a second when he almost admits his love for the other boy... but we also understand that, when, in a later scene with his fathers "mistress", he says "There's something wrong with me" - it is really the admission that he has gay feelings. That other reviewers missed this doesn't surprise me; it is very nuanced in the telling, but any gay person will see the signs that others miss.As for the rest of the film, it is extremely well constructed, with so many moments of foreboding building to a climax that the tension is almost unbearable sometimes. Beautifully shot, beautifully acted, a gem.
sber-91551 Sleeping Giant is a hidden gem of a film, but its gift can only be experienced when you abandon commercial expectations and allow the film the requisite amount of time needed to transport you from a pre- conditioned cinematic abyss to an authentic time and place. Emotions penetrate through the barriers of the screen, capturing the viewer with both the acting and directing.I enjoyed it. Well done.Rating: 8/10
== Inserted here: materials data ==
<<<
No. 1
## PmIn6Hg12 (PBE)

Data for a relaxed structure of PmIn6Hg12.

## Properties
For the energy above the most stable polymorph in this dataset, the calculation gives 0.023 eV/atom. The magnetic moment comes out at 0.00 μB/atom. The value obtained for the density of states at the Fermi level is 8.17 states/eV/f.u.

a b c (Å): 8.0133 8.0133 8.0133
angles (deg): 91.82 91.82 91.82
Fractional positions:
Pm  0.0000  0.0000  0.0000
In  0.1451  0.7144  0.2578
In  0.2578  0.1451  0.7144
In  0.2856  0.7422  0.8549
In  0.7144  0.2578  0.1451
In  0.7422  0.8549  0.2856
In  0.8549  0.2856  0.7422
Hg  0.0458  0.1558  0.3769
Hg  0.1558  0.3769  0.0458
Hg  0.1919  0.4850  0.5539
Hg  0.3769  0.0458  0.1558
Hg  0.4461  0.8081  0.5150
Hg  0.4850  0.5539  0.1919
Hg  0.5150  0.4461  0.8081
Hg  0.5539  0.1919  0.4850
Hg  0.6231  0.9542  0.8442
Hg  0.8081  0.5150  0.4461
Hg  0.8442  0.6231  0.9542
Hg  0.9542  0.8442  0.6231

---

No. 2
## Pm2InHg8 (PBE)

Data for a relaxed structure of Pm2InHg8.

## Properties
For the energy above the most stable polymorph in this dataset, the calculation gives 0.000 eV/atom. The magnetic moment comes out at 0.00 μB/atom. The value obtained for the density of states at the Fermi level is 6.62 states/eV/f.u.

a b c (Å): 4.7325 4.7325 12.8430
angles (deg): 90.00 90.00 90.00
Fractional positions:
Pm  0.0000  0.0000  0.1849
Pm  0.0000  0.0000  0.8151
In  0.0000  0.0000  0.5000
Hg  0.0000  0.5000  0.0000
Hg  0.0000  0.5000  0.3574
Hg  0.0000  0.5000  0.6426
Hg  0.5000  0.0000  0.0000
Hg  0.5000  0.0000  0.3574
Hg  0.5000  0.0000  0.6426
Hg  0.5000  0.5000  0.1813
Hg  0.5000  0.5000  0.8187

---

No. 3
## PmIn5Hg6 (PBE)

Data for a relaxed structure of PmIn5Hg6.

## Properties
The calculated total energy is -1.80 eV per atom. The magnetic moment comes out at 0.00 μB/atom. The value obtained for the density of states at the Fermi level is 5.55 states/eV/f.u.

a b c (Å): 6.8599 6.8599 9.8394
angles (deg): 90.00 90.00 137.82
Fractional positions:
Pm  0.0000  0.0000  0.0000
In  0.0000  0.0000  0.5000
In  0.3169  0.6831  0.0000
In  0.3400  0.6600  0.5000
In  0.6600  0.3400  0.5000
In  0.6831  0.3169  0.0000
Hg  0.1634  0.8366  0.2613
Hg  0.1634  0.8366  0.7387
Hg  0.5000  0.5000  0.2300
Hg  0.5000  0.5000  0.7700
Hg  0.8366  0.1634  0.2613
Hg  0.8366  0.1634  0.7387

---

> magnetic moment of number 3 (PmIn5Hg6)?

0.00 μB/atom

---

> Which value of magnetic moment does entry 1 give?

0.00 μB/atom
>>>
cecilbdedenis I watched this film to the end even though it was as excruciating as reading Hemingway."It's Canadian; it's art," I repeatedly told myself. No, it's simply a badly made film. A boring narrative of three unremarkable teenage boys, two of whom need major orthodontic overhauls, bored out of their trees during summer vacation.The scenes are as disjointed as the knee I keep throwing out and the film's closing credits appear from out of nowhere.Don't waste your time. Bad acting, amateurish photography, terrible script.